Dominate Your Neighborhood - Joe Stumpf's By Referral Only

Discover Exactly How You Can

Become The ONLY Agent or Lender Your Neighbors Think of When They are Ready to Sell, Buy, Borrow, or Refer

**Next to the entry, the page also holds materials data:**
┌──
DFT (GGA-PBE) results for crystalline NaLaSiO4 at its relaxed geometry.

a = 7.146 Å, b = 5.504 Å, c = 9.611 Å
α = 90.00°, β = 90.00°, γ = 90.00°
Atoms (fractional coordinates):
Na 0.169 0.250 0.080
Na 0.331 0.750 0.580
Na 0.669 0.250 0.420
Na 0.831 0.750 0.920
La 0.009 0.750 0.307
La 0.491 0.250 0.807
La 0.509 0.750 0.193
La 0.991 0.250 0.693
Si 0.234 0.250 0.419
Si 0.266 0.750 0.919
Si 0.734 0.250 0.081
Si 0.766 0.750 0.581
O 0.003 0.250 0.424
O 0.189 0.750 0.082
O 0.195 0.504 0.839
O 0.195 0.996 0.839
O 0.305 0.004 0.339
O 0.305 0.496 0.339
O 0.311 0.250 0.582
O 0.497 0.750 0.924
O 0.503 0.250 0.076
O 0.689 0.750 0.418
O 0.695 0.504 0.661
O 0.695 0.996 0.661
O 0.805 0.004 0.161
O 0.805 0.496 0.161
O 0.811 0.250 0.918
O 0.997 0.750 0.576

Computed properties:
Crystal system: orthorhombic
Polymorph energy (0 for the lowest one): 13 meV/atom
SG: Pnma, No. 62

---

DFT (GGA-PBE) results for crystalline Sn3SO7 at its relaxed geometry.

a = 13.358 Å, b = 5.797 Å, c = 12.219 Å
α = 90.00°, β = 90.00°, γ = 90.00°
Atoms (fractional coordinates):
Sn 0.000 0.060 0.000
Sn 0.000 0.940 0.500
Sn 0.114 0.437 0.601
Sn 0.189 0.937 0.742
Sn 0.311 0.937 0.242
Sn 0.386 0.437 0.101
Sn 0.500 0.060 0.500
Sn 0.500 0.940 0.000
Sn 0.614 0.563 0.601
Sn 0.689 0.063 0.742
Sn 0.811 0.063 0.242
Sn 0.886 0.563 0.101
S 0.071 0.746 0.230
S 0.429 0.746 0.730
S 0.571 0.254 0.230
S 0.929 0.254 0.730
O 0.001 0.939 0.200
O 0.017 0.523 0.200
O 0.064 0.259 0.478
O 0.095 0.749 0.347
O 0.130 0.777 0.588
O 0.164 0.765 0.163
O 0.212 0.268 0.687
O 0.288 0.268 0.187
O 0.336 0.765 0.663
O 0.370 0.777 0.088
O 0.405 0.749 0.847
O 0.436 0.259 0.978
O 0.483 0.523 0.700
O 0.499 0.939 0.700
O 0.501 0.061 0.200
O 0.517 0.477 0.200
O 0.564 0.741 0.478
O 0.595 0.251 0.347
O 0.630 0.223 0.588
O 0.664 0.235 0.163
O 0.712 0.732 0.687
O 0.788 0.732 0.187
O 0.836 0.235 0.663
O 0.870 0.223 0.088
O 0.905 0.251 0.847
O 0.936 0.741 0.978
O 0.983 0.477 0.700
O 0.999 0.061 0.700

Computed properties:
Crystal system: orthorhombic
Energy: -5.900 eV per atom
SG: Pca2_1, No. 29

---

DFT (GGA-PBE) results for crystalline Cs2NpO3 at its relaxed geometry.

a = 7.057 Å, b = 7.057 Å, c = 6.412 Å
α = 90.00°, β = 90.00°, γ = 66.48°
Atoms (fractional coordinates):
Cs 0.018 0.306 0.000
Cs 0.306 0.018 0.500
Cs 0.694 0.982 0.000
Cs 0.982 0.694 0.500
Np 0.414 0.586 0.983
Np 0.586 0.414 0.483
O 0.153 0.847 0.942
O 0.377 0.390 0.238
O 0.390 0.377 0.738
O 0.610 0.623 0.238
O 0.623 0.610 0.738
O 0.847 0.153 0.442

Computed properties:
Crystal system: orthorhombic
Energy: -7.109 eV per atom
SG: Cmc2_1, No. 36

---

DFT (GGA-PBE) results for crystalline Nd3BeCrS7 at its relaxed geometry.

a = 9.982 Å, b = 9.982 Å, c = 5.990 Å
α = 90.00°, β = 90.00°, γ = 120.00°
Atoms (fractional coordinates):
Nd 0.139 0.750 0.000
Nd 0.250 0.390 0.000
Nd 0.390 0.139 0.500
Nd 0.610 0.861 0.000
Nd 0.750 0.610 0.500
Nd 0.861 0.250 0.500
Be 0.333 0.667 0.584
Be 0.667 0.333 0.084
Cr 0.000 0.000 0.231
Cr 0.000 0.000 0.731
S 0.078 0.858 0.474
└──

With Your Free “Dominate Your Neighborhood” Strategy Access

(100% Free. No obligation.)

The old ways of generating leads simply aren’t working anymore in today’s market. Buyers and sellers have changed. But many agents’ and lenders’ lead gen strategies haven’t. To thrive in today’s landscape, you need to shake things up and take a fresh approach to lead generation. It’s time to shift gears and try something new.

Because What Used To Work, Isn’t Working Any Longer…

Do you feel like you’re paddling upstream without a paddle these days? As the market shifts, are you finding it harder and harder to get in front of qualified prospects?

You’re not alone.

There is a massive shift happening right now in 2024…

Many Agents are struggling to generate new leads and transactions in today’s changing real estate landscape. The old methods that used to work like a charm seem to be falling flat. No matter how hard you paddle, you feel like you’re just spinning your wheels and going nowhere fast.

It’s not your fault – the market has changed. Buyers and sellers have changed.

But your lead generation strategy hasn’t. And now you’re paying the price with decreasing sales and income.

But what if there was a simple, repeatable system to build instant credibility and trust with potential clients right in your own backyard? A way to become the go-to real estate or mortgage advisor your neighbors think of first when they’re looking to buy, sell or invest in real estate?

There is. It’s called the Dominate Your Neighborhood Strategy.

What Is The Dominate Your Neighborhood Strategy?

Dominate Your Neighborhood is a proven lead generation and referral system leveraging the power of direct mail and personal connection. By strategically positioning yourself as the helpful, knowledgeable neighbor on the block, you’ll build familiarity and trust that leads to referrals and sales.

Swipe this strategy and learn how to establish yourself as the authority agent in your neighborhood, including:

Misplaced calculated crystals:
~~~
[1]
Computed, not measured: an optimized crystal structure of Bi8Te9 at the PBE level of DFT.

Computed properties:
Crystal system: trigonal
E (MP2020), eV per atom: -3.92

Cell: 34.9919 34.9919 34.9919 Å, 7.35 7.35 7.35°
Last column: nearest neighbours and their distance in Å.
Atoms (fractional coordinates):
Bi (0.0879, 0.0879, 0.0879)  6 Te 3.10-3.30
Bi (0.1475, 0.1475, 0.1475)  6 Te 3.10-3.27
Bi (0.3254, 0.3254, 0.3254)  3 Bi 3.08
Bi (0.3824, 0.3824, 0.3824)  6 Te 3.11-3.28
Bi (0.6176, 0.6176, 0.6176)  6 Te 3.11-3.28
Bi (0.6746, 0.6746, 0.6746)  3 Bi 3.08
Bi (0.8525, 0.8525, 0.8525)  6 Te 3.10-3.27
Bi (0.9121, 0.9121, 0.9121)  6 Te 3.10-3.30
Te (0.0326, 0.0326, 0.0326)  3 Bi 3.11
Te (0.2021, 0.2021, 0.2021)  3 Bi 3.10
Te (0.2651, 0.2651, 0.2651)  6 Bi 3.28-3.30
Te (0.4374, 0.4374, 0.4374)  3 Bi 3.10
Te (0.5000, 0.5000, 0.5000)  6 Bi 3.27
Te (0.5626, 0.5626, 0.5626)  3 Bi 3.10
Te (0.7349, 0.7349, 0.7349)  6 Bi 3.28-3.30
Te (0.7979, 0.7979, 0.7979)  3 Bi 3.10
Te (0.9674, 0.9674, 0.9674)  3 Bi 3.11

=====

[2]
Computed, not measured: an optimized crystal structure of Bi2Te3 at the PBE level of DFT.

Computed properties:
Crystal system: trigonal
E (MP2020), eV per atom: -3.68

Cell: 10.2289 10.2289 10.2289 Å, 25.17 25.17 25.17°
Last column: nearest neighbours and their distance in Å.
Atoms (fractional coordinates):
Bi (0.2047, 0.2047, 0.2047)  3 Te 3.13, 3 Bi 3.42
Bi (0.7953, 0.7953, 0.7953)  3 Te 3.13, 3 Bi 3.42
Te (0.0000, 0.0000, 0.0000)  6 Te 3.28
Te (0.4020, 0.4020, 0.4020)  3 Bi 3.13, 3 Te 3.28
Te (0.5980, 0.5980, 0.5980)  3 Bi 3.13, 3 Te 3.28

=====

[3]
Computed, not measured: an optimized crystal structure of Bi2Te at the PBE level of DFT.

Computed properties:
Crystal system: tetragonal
E (MP2020), eV per atom: -3.80

Cell: 6.4964 6.4964 6.4964 Å, 103.81 103.81 121.50°
Last column: nearest neighbours and their distance in Å.
Atoms (fractional coordinates):
Bi (0.3750, 0.0475, 0.1725)  2 Te 3.17, 4 Bi 3.36
Bi (0.7975, 0.6250, 0.6725)  2 Te 3.17, 4 Bi 3.36
Bi (0.8750, 0.2025, 0.8275)  2 Te 3.17, 4 Bi 3.36
Bi (0.9525, 0.1250, 0.3275)  2 Te 3.17, 4 Bi 3.36
Te (0.2500, 0.7500, 0.5000)  4 Bi 3.17
Te (0.5000, 0.5000, 0.0000)  4 Bi 3.17

=====

[4]
Computed, not measured: an optimized crystal structure of Th2BiTe2 at the PBE level of DFT.

Computed properties:
Crystal system: tetragonal
E (MP2020), eV per atom: -4.96

Cell: 3.2992 3.2992 17.2951 Å, 90.00 90.00 90.00°
Last column: nearest neighbours and their distance in Å.
Atoms (fractional coordinates):
Th (0.0000, 0.0000, 0.1874)  1 Te 3.03, 1 Bi 3.24, 4 Th 3.30
Th (0.0000, 0.0000, 0.8126)  1 Te 3.03, 1 Bi 3.24, 4 Th 3.30
Bi (0.0000, 0.0000, 0.0000)  2 Th 3.24, 4 Bi 3.30
Te (0.0000, 0.0000, 0.3625)  1 Th 3.03, 4 Te 3.30
Te (0.0000, 0.0000, 0.6375)  1 Th 3.03, 4 Te 3.30

=====

[5]
Computed, not measured: an optimized crystal structure of ThBiTe at the PBE level of DFT.

Computed properties:
Crystal system: tetragonal
E (MP2020), eV per atom: -5.86
~~~
Here the piece continues:

  • Discover how to develop and deploy a complete 12-month direct mail campaign with clever, benefit-driven postcards to connect you personally with your neighbors and keep you on their radar each and every month.
  • Learn how to create and leverage professionally designed informational guides and helpful “gives” – like moving tips, home maintenance guides, landscaping guides, and neighborhood reports – to share and build goodwill (these get you face-to-face and on the phone with them).
  • Access proven scripts, dialogues, and relationship-building techniques tailored to dominate your specific neighborhood.
  • Get step-by-step implementation training for flawlessly executing this referral and lead-generating strategy.

In no time at all, you’ll have warm leads calling YOU instead of you cold calling them. And when they’re ready to make a move, you’ll be the Agent or Lender they turn to first.

Discover How You Can Get Your Hands On This Entire Dominate Your Neighborhood Campaign And Have It Locked And Loaded In Days

Click below now for FREE instant access to preview the strategy that’s helping Agents and Lenders just like you double their referrals and increase transactions.

No credit card is required – just provide your name and email address on the next page to get immediate access

Don’t let another month go by without the leads and referrals you need. Discover how to become your neighborhood’s #1 advisor today!


The 1-Page Marketing Plan

Now, Please Answer 2 Quick Questions So We Can Be Sure To Send You Relevant, High-Value Content You Truly Care About...

(Attached: crystal structures)
- - -
# LaGeI, optimized geometry, DFT r²SCAN
data_LaGeI
_chemical_formula_sum 'La2 Ge2 I2'
_cell_length_a 4.406
_cell_length_b 4.406
_cell_length_c 11.921
_cell_angle_alpha 90.00
_cell_angle_beta 90.00
_cell_angle_gamma 120.00
_symmetry_space_group_name_H-M 'P 1'
_symmetry_Int_Tables_number 1
_symmetry_space_group_name_Hall 'P 1'
loop_
_atom_site_label
_atom_site_type_symbol
_atom_site_fract_x
_atom_site_fract_y
_atom_site_fract_z
La1 La 0.000 0.000 0.172
La2 La 0.000 0.000 0.828
Ge1 Ge 0.333 0.667 0.991
Ge2 Ge 0.667 0.333 0.009
I1 I 0.667 0.333 0.650
- - -
(The article goes on)

Question 1: What business are you in?

Now, Please Answer 2 Quick Questions So We Can Be Sure To Send You Relevant, High-Value Content You Truly Care About...

Question 2: Where do you consider your business to be?